
A Marketing Plan?! What Exactly is That?

Written by Leah Reeb | Jan 22, 2019 12:04:49 AM

A marketing plan?! What exactly is that? 

A marketing plan is a comprehensive document that describes your marketing efforts ideally for a specific time frame. In its most basic form, it’s a road-map for introducing and delivering your products or services to a desired audience. It will guide you in selecting different platforms for promoting your business and tailoring those to achieve your end goals. 

An effective marketing plan will support the overall goals and objectives of your business and provide the directions on how to get there. 

Where to start: 

It’s good to know where you’re at, to know where you need to go. Before you dive in, take a quick snapshot of where you are today and where you want to be in the future. Where do you see your company a few years down the road? Do you hope to grow and expand? Provide additional services or product and hire more people? Reach a different audience? 

These calculated molecules were left in the text by mistake:
'''
w.
17
Properties=species:S:1:pos:R:3:lowdin_charge:R:1 method="wB97M-V/def2-TZVPD" e_lumo_ha="-0.29408 / -0.41787" gap_ev="11.09 / 10.01" spin_multiplicity=2 e_homo_ev="-19.0959 / -21.3803" total_charge=+2
C 1.600 -0.538 0.166 -0.071
C 0.741 0.562 0.814 -0.150
C -0.712 0.729 0.532 0.049
C -1.145 1.301 -0.682 -0.048
N -2.372 1.318 -1.137 0.263
N 0.838 -1.892 0.138 0.212
H 1.930 -0.388 -0.862 0.142
H 2.456 -0.747 0.793 0.141
H 1.323 1.486 0.722 0.157
H 0.856 0.417 1.891 0.138
H -1.417 0.351 1.263 0.145
H -0.381 1.752 -1.306 0.164
H -3.099 0.732 -0.732 0.168
H -2.499 1.510 -2.130 0.172
H 1.214 -2.634 -0.457 0.186
H -0.128 -1.672 -0.100 0.149
H 0.795 -2.287 1.086 0.184

x.
17
Properties=species:S:1:pos:R:3:lowdin_charge:R:1 method="wB97M-V/def2-TZVPD" e_lumo_ha="-0.35132 / -0.49200" gap_ev="10.74 / 7.09" spin_multiplicity=2 e_homo_ev="-20.2964 / -20.4734" total_charge=+2
C 0.245 2.233 -0.471 0.022
C -0.541 0.872 -0.853 -0.113
C -0.077 -0.221 -0.049 -0.126
C 0.381 -1.440 -0.591 0.044
N 0.523 -2.532 0.210 0.166
N -0.392 -0.213 1.393 0.298
H 0.589 2.711 -1.384 0.105
H 1.115 2.015 0.141 0.081
H -0.412 2.923 0.050 0.096
H -1.581 1.043 -0.512 0.160
H -0.597 0.832 -1.942 0.153
H 0.604 -1.437 -1.652 0.174
H 1.473 -2.713 0.560 0.179
H 0.018 -3.373 -0.073 0.161
H 0.442 0.150 1.875 0.209
H -1.220 0.346 1.626 0.204
H -0.572 -1.194 1.671 0.185

The computed energies, referenced to the most stable structure and given in kcal/mol, are w 0.0; x 55.9.

w.
12
Properties=species:S:1:pos:R:3:lowdin_charge:R:1 method="wB97M-V/def2-TZVPD" e_lumo_ha="0.16595 / 0.16097" gap_ev="3.83 / 6.87" spin_multiplicity=2 e_homo_ev="0.6860 / -2.4906" total_charge=-1
N 0.499 -2.040 -1.289 -0.013
H -0.218 -2.092 -0.566 -0.007
H 0.780 -2.999 -1.477 -0.021
H 1.298 -1.643 -0.802 -0.011
C -0.498 1.575 -0.381 -0.331
C -0.121 0.417 1.674 -0.322
N -0.932 0.712 0.652 -0.273
H -0.006 1.050 -1.214 0.028
H -1.368 2.075 -0.811 0.025
H 0.161 2.387 0.006 0.030
H 0.971 0.375 1.576 -0.052
H -0.565 0.181 2.632 -0.053

x.
12
Properties=species:S:1:pos:R:3:lowdin_charge:R:1 method="wB97M-V/def2-TZVPD" e_lumo_ha="0.15828 / 0.15459" gap_ev="3.12 / 8.54" spin_multiplicity=2 e_homo_ev="1.1907 / -4.3351" total_charge=-1
N 2.415 -0.393 1.871 -0.236
H 2.998 -0.183 1.063 -0.091
H 1.481 -0.724 1.675 -0.099
H 2.469 0.377 2.529 -0.086
C -2.164 0.427 -1.177 -0.105
C -1.072 0.320 -0.389 -0.465
N 0.114 -0.267 -0.714 -0.016
H -2.296 0.117 -2.201 0.012
H -3.079 0.612 -0.622 0.008
H -0.979 0.964 0.478 0.055
H 0.285 -0.659 -1.625 0.038
H 0.793 -0.642 -0.059 -0.015

The computed energies, referenced to the most stable structure and given in kcal/mol, are w 0.0; x 3.2.

w.
8
Properties=species:S:1:pos:R:3:lowdin_charge:R:1 method="wB97M-V/def2-TZVPD" e_lumo_ha=0.00512 gap_ev=10.80 e_homo_ev=-10.6611 smiles="O=[N+]([O-])OCBr" total_charge=0
O -0.867 -0.878 -2.340 0.090
'''

Know and believe in your business goals and objectives: What are you trying to accomplish? Have you identified any steps to reach those goals? Business goals are important and should not be overlooked. They help you grow and achieve objectives as a business and provide insight into your organization’s purpose and how you serve customers. If you need help setting these up, check out How to Set Good Goals.

Secondly, it’s important that you clearly identify your audience or ideal customer. Who do you wish to target? Who are they? If you can identify them and create a customer persona, you’re more likely to connect and reach them. If you’re not sure how to narrow down who your target audience is, our article: Demographics and Your Marketing Strategy should help guide you.

The Basic Framework of a Marketing Plan:

The start of your plan should have a quick overview of what you’ve done so far, what you plan to accomplish and how you’re going to get there. It’s also a good idea to include a bit about internal and external factors which could affect your strategy and approach. If you’ve ever completed a SWOT (strengths, weaknesses, opportunities and threats) analysis, a quick synopsis of that information would be good to include. The SWOT processes is a strategic planning technique used to help your business identify internal and external factors. In addition, provide some information here about who you’re trying to reach – again, who is your target audience?

Outline Your Marketing Goals 

Your marketing goals should tie to the business objectives that you’ve identified. These goals will focus on portions of your business which marketing can influence. What can you do to make people take a certain action?

List Your Strategies and Tactics

Your strategies and tactics will outline how you plan to achieve your goals. You could include such things as social media, e-newsletters, direct mailers, print ads, trade shows and content. There are endless possibilities. 

Between two parts of the entry: data records >
<<<
(1)
9
Properties=species:S:1:pos:R:3 method="wB97M-V/def2-TZVPD" homo_lumo_gap_ev="6.5 / 6.7" charge=0 largest_force_ev_per_a=6.17 lumo_energy_ha="0.0275 / -0.0858" spin_multiplicity=3
C -0.1389 -0.5708 0.8762
N -1.1731 -1.2576 0.0653
N -1.0344 -1.1209 -1.1505
N -0.0025 -0.2916 -1.5668
P 0.8402 0.6253 -0.2967
H -0.3565 -0.1199 1.8682
H 0.5029 -1.3126 1.3440
H -0.0547 0.1993 -2.5996
H -0.1833 1.4637 -0.1956


(2)
58
Properties=species:S:1:pos:R:3 method="wB97M-V/def2-TZVPD" homo_lumo_gap_ev="5.6 / 5.6" charge=-1 largest_force_ev_per_a=4.57 lumo_energy_ha="0.0830 / 0.0830" spin_multiplicity=2
Cu -0.6575 0.5440 0.3237
C -3.1269 3.2560 3.0793
C -2.5467 1.8513 2.8097
C -3.6531 0.7742 2.8975
O -1.9183 1.7641 1.5975
H -2.5090 4.0579 2.6678
H -3.1686 3.5094 4.1434
H -4.0868 3.3059 2.5597
H -1.8118 1.7098 3.6322
H -4.6087 1.1992 2.5658
H -3.8491 0.5008 3.9434
H -3.4769 -0.0859 2.2562
C -1.2533 1.4790 -2.6660
O -0.9311 1.5973 -1.4180
O -0.4279 0.9255 -3.5220
O -2.3082 1.9733 -3.1567
C 1.7735 -0.7692 3.6313
C 1.1718 -1.3622 2.3756
O 0.3650 -0.7264 1.7390
N 1.3878 -2.6705 2.1602
C 0.8324 -3.5299 1.1547
H 2.8514 -0.6087 3.5720
H 1.6908 -1.4982 4.4442
H 1.2021 0.1103 3.9058
H 2.0332 -3.1533 2.7637
H 0.2279 -2.9477 0.4555
H 0.2422 -4.3362 1.5872
H 1.6307 -3.9099 0.5103
C 2.7541 -1.7231 -1.6253
C 1.6069 -0.7703 -1.9202
O 0.6835 -0.6306 -1.1284
N 1.5192 -0.1901 -3.1254
C 2.6206 0.0190 -4.0110
H 2.9734 -1.7089 -0.5582
H 3.6649 -1.5279 -2.1863
H 2.3591 -2.7129 -1.8652
H 0.6233 0.3711 -3.2938
H 3.4982 0.4885 -3.5423
H 2.3679 0.7635 -4.7684
H 3.0396 -0.8282 -4.5649
O 1.2255 1.6102 0.4954
C 2.1069 2.1555 -0.1424
N 1.9102 2.3902 -1.4540
C 3.4790 2.3425 0.4631
H 2.5807 2.9360 -1.9625
H 0.9489 2.2240 -1.7760
H 3.7955 1.3991 0.9003
H 3.5249 3.0885 1.2578
H 4.1630 2.7375 -0.2922
O -2.0295 -1.0972 -0.2621
C -2.5431 -1.5414 -1.2741
N -1.8017 -2.0638 -2.2823
C -4.0374 -1.6806 -1.4020
H -0.8122 -1.8938 -2.1551
H -2.1920 -2.0588 -3.2084
H -4.2825 -2.5085 -2.0654
H -4.4034 -0.7649 -1.8726
H -4.4183 -1.7848 -0.3909


(3)
22
Properties=species:S:1:pos:R:3 method="wB97M-V/def2-TZVPD" homo_lumo_gap_ev=5.3 charge=+1 largest_force_ev_per_a=2.36 lumo_energy_ha=-0.2426
Sr -4.4915 20.7454 -12.3994
Cl -2.6867 23.0237 -12.2064
C -1.1540 24.5824 -7.3743
C -2.2036 24.3893 -8.4643
O -1.6285 24.7943 -9.7039
O -1.5698 24.1632 -6.1132
H -0.8944 25.6425 -7.3914
H -0.2692 24.0388 -7.7319
H -3.1195 24.9648 -8.2903
H -2.4929 23.3293 -8.5432
H -2.1591 24.4347 -10.4245
H -1.4691 23.2167 -6.0019
C 0.4627 22.1194 -9.9559
C 1.2912 21.7232 -11.1882
O 2.6809 21.6602 -10.9192
O 0.3775 21.0514 -9.0082
H -0.5306 22.4359 -10.2626
H 0.9697 23.0051 -9.5577
H 1.0235 22.3499 -12.0374
H 1.0037 20.7077 -11.5094
H 2.9195 20.9785 -10.2922
H 1.2778 20.7270 -8.9147


(4)
90
Properties=species:S:1:pos:R:3 method="wB97M-V/def2-TZVPD" homo_lumo_gap_ev=6.4 charge=-1 largest_force_ev_per_a=0.43 lumo_energy_ha=0.0681
O 4.0538 0.0078 2.6302
P 2.4322 0.3673 2.8018
Br 2.5688 2.0588 4.3674
In 1.9647 1.5565 0.5204
>>>
So much for the data records >

Your tactics are specific, actionable steps that you need to take to execute the strategy. Will you launch a social media campaign and if so, who will be responsible for that? Is there someone within your organization who can manage this? Will you hire an outside agency? These strategies and tactics should follow a timeline: when you plan to initiate, execute and deliver. A plan is just a plan without action. 

Include a Budget

== Records of molecules, kept here for reference ==
=====
Record 1
2 unconnected molecules or ions with the total composition C10H19Br2IN3OP at a distorted geometry. Source: the OMol25 dataset; level of theory: the ωB97M-V functional and the def2-TZVPD basis.

```
! RIJCOSX wB97M-V def2-TZVPD def2/J DEFGRID3
* xyz 0 1
C 1.902 -0.473 2.210
C 2.090 -0.728 0.727
O 3.176 -0.664 0.212
N 0.919 -1.093 -0.004
C 1.166 -1.799 -1.297
C -0.086 -0.059 -0.130
C 0.413 1.370 -0.418
C 1.519 1.532 -1.481
C 2.545 2.560 -1.023
I 3.791 3.225 -2.591
C -1.048 -0.057 1.097
C -2.458 0.179 0.532
Br -3.013 2.014 0.457
P -3.778 -0.756 1.541
N -4.534 0.095 2.581
C -2.288 -0.321 -0.855
N -1.072 -0.471 -1.176
H 2.697 -0.988 2.740
H 0.935 -0.801 2.581
H 1.998 0.598 2.399
H 0.409 -2.571 -1.413
H 2.114 -2.315 -1.294
H 1.128 -1.123 -2.154
H -0.450 1.950 -0.749
H 0.715 1.816 0.530
H 1.085 1.875 -2.421
H 2.028 0.595 -1.676
H 3.171 2.155 -0.232
H 2.053 3.445 -0.623
H -0.753 0.649 1.869
H -0.998 -1.056 1.529
H -2.942 -1.727 2.105
H -4.517 -1.378 0.515
H -5.531 0.183 2.451
H -3.092 -0.557 -1.541
H -0.794 -0.833 -2.086
Br 1.499 -4.469 -2.911
*
```

Its energy relative to the best compared isomer or geometry (same formula, charge and spin) is 0.00 kcal per mole. The calculation puts the frontier orbital gap at 3.69 eV. The total energy comes out at -6418.89939 a.u. The lowest unoccupied orbital energy is -2.72 eV.


Record 2
C10H19Br2NO in the gas phase at a distorted geometry. Source: the OMol25 dataset; level of theory: the ωB97M-V functional and the def2-TZVPD basis.

```
! RIJCOSX wB97M-V def2-TZVPD def2/J DEFGRID3
* xyz 0 1
Br 1.331 0.626 -2.252
Br 0.939 -0.854 2.209
O 3.448 -1.244 -1.050
C 1.030 0.423 -0.363
C 1.539 -0.664 0.374
N -1.227 1.478 0.036
C 0.224 1.558 0.325
C -2.411 0.421 1.963
C -2.890 2.865 -1.017
C 3.216 -2.467 0.944
C 1.616 -2.801 -0.931
C -1.969 0.304 0.516
C -1.655 1.991 -1.267
C 2.445 -1.767 -0.170
H 3.032 -0.690 -1.743
H 0.646 2.502 0.015
H 0.398 1.534 1.402
H -2.788 -0.517 2.322
H -1.541 0.688 2.590
H -3.188 1.172 2.107
H -3.559 2.369 -0.341
H -2.563 3.826 -0.591
H -3.380 3.056 -1.994
H 3.797 -1.718 1.488
H 3.937 -3.204 0.539
H 2.511 -2.986 1.603
H 1.001 -2.360 -1.702
H 0.874 -3.304 -0.285
H 2.297 -3.567 -1.310
H -1.421 -0.613 0.317
H -2.887 0.153 -0.060
H -0.879 2.600 -1.754
H -1.924 1.188 -1.922
*
```

The SMILES is CCN(CC)C/C(Br)=C(\Br)C(C)(C)O. Its energy relative to the best compared isomer or geometry (same formula, charge and spin) is 0.00 kcal per mole. The calculation puts the frontier orbital gap at 8.62 eV. The total energy comes out at -5670.40194 a.u. The lowest unoccupied orbital energy is 0.35 eV.


Record 3
3 unconnected molecules or ions with the total composition C10H19BrNO5S2. Source: the OMol25 dataset; level of theory: the ωB97M-V functional and the def2-TZVPD basis.

```
! RIJCOSX wB97M-V def2-TZVPD def2/J DEFGRID3
* xyz -1 1
N -5.039 -3.431 -1.581
C -4.232 -2.742 -1.119
O -3.395 -1.919 -0.648
C -1.978 -2.559 -0.409
C -1.059 -1.406 -0.793
C 0.351 -1.858 -1.192
O 0.673 -1.360 -2.506
=====

What will you spend on the various tactics to reach your goal? Spend some time working through your goals, strategies and tactics and outline what it will take to execute and deliver. Do you have all the resources needed? Do you need to hire someone? How much will you spend on advertising, social media promotion and whatever else you identify? 

Evaluate and Review

Lastly, it’s important to evaluate, measure, review and adjust.  For each tactic, implement a tracking method to know what’s working and what’s not. If your hard work is not leading you in the desired direction, adjust and try a new approach. 

Keep Your Plan up to Date

Your Marketing Plan should be a living document that you modify as you go. Don’t be afraid to change your strategies and approach if you find things just aren’t working right. There are often outside forces that are out of your control which could influence this process such as changes in demand, pricing issues, manpower, or a new platform that you wish to implement. Being flexible and responsive is a must.

Take the Leap and Get Started

Don’t feel overwhelmed by the process. Identify your overall goals, audience and how you plan to reach them. Develop a realistic timeline and take it one step at a time. Don’t be afraid to adjust your road-map when needed should you identify a new direction. Good luck!